Sean Broca wants to enlist in the army - but is it everything he expects?
Detailed summary
Wade Collins is dreaming about his time in Vietnam.
- The squad of six - Wade, Snake-Eyes, Stalker, Storm Shadow, Dickie Saperstein and Ramon Escobedo - are patrolling the jungle when they are attacked by the Viet Cong. Wade empties his gun and withdraws, per Stalker's order, but is confronted by a Viet Cong soldier who fires point-blank at him.
Wade awakes and realizes it was just a dream. His adopted son Sean enters and tells him that as he will be seventeen next month he wants to enlist in the army and needs Wade to sign the papers. Wade is reluctant but Sean is refusing to listen, pointing out that Wade isn't his real father but an ex Cobra Crimson Guardsman who had plastic surgery to look identical. Wade responds all that was in the past, but seeing he can't convince Sean he suggests that he write to Snake-Eyes as "he can tell you better than anyone I know". Sean agrees even though he doubts it will change his mind.
A week later Stalker arrives at the Pit with a mail bag. Inside the Joes are slowly deactivating the base so that it can be reactivated at a moment's notice if their superiors change their mind. Stalker announces there is a personal letter for Snake-Eyes who takes it and heads off to the recreation room to read it privately. Meanwhile Scarlett notes it's the first private letter he has had since his family were killed in a car crash many years ago.
The letter is from Sean, who writes that his father doesn't understand what it is like to be seventeen. Sean finds his schoolmates to be time passers who don't understand what honor and duty mean, seeing the concepts as jokes. Meanwhile all around him he sees selfish people and those who are supposed to be heroes - "Senators, preachers, sports stars, bond traders and bankers... people who are supposed to be pillars of the community and paragons of virtue" - being arrested for hideous crimes and not showing remorse. He feels inspired by the army and writes of General Lee who after Gettysburg stood in the path of his retreating army to personally apologize for defeat.
- "What is wrong with aspiring to that sense of honor? What's wrong with wanting a higher glory than personal wealth? What's wrong with seeing adventure in the defense of democratic ideals?"
Snake-Eyes writes a reply.
- "There is no honor or glory in the primary occupation of the soldier. There are only 'long stretches of interminable boredom punctuated by brief flurries of pure terror'. There is no winning."
He describes the aftermath of battle, being surrounded by the dead and dying, hearing the screaming of the wounded. "I've known some real heroes in my time, but pitifully few of them were the type to jump out of a foxhole and shout, 'Follow me!'" He goes on to describe several of the members of his and Wade's Long Range Recon Patrol (L.R.R.P.) in Vietnam and why they served or continued to.
Ramon Escobedo one day received a letter from his mother, telling him that his younger brother had just graduated from basic training and was about to enter the infantry. Ramon's tour of duty was due to end in three months and he wanted to go home "more than anything else in the world". But his younger brother would be eligible to serve in Vietnam. So Ramon extended his tour of duty to exploit the rule against two members of the same family serving in the same war zone to keep his brother away. Two weeks later the L.R.R.P. was ambushed in a valley and Ramon and Dickie were killed. "Ramon didn't look all that heroic when he died. He just looked surprised."
Dickie Saperstein also felt burnt out and wanted to go home but he extended his tour of duty as his father needed a new heart valve and the family couldn't afford it. So he signed up for an extension scheme that provided a lump sum in advance which paid for the operation. His father died on the operating table. Even though he could have got a "compassionate" discharge he felt he should honor the deal he had made. And he was killed by a mine.
Stalker wasn't looking for glory, honor or adventure but a chance to escape from the streets of Detroit. He didn't want to worry his mother so, with the help of a cousin stationed in Germany, he pretended to be working there and had his mail rerouted. The others would help him make up stories for his letters home. He didn't see his time as an adventure and couldn't understand why others did.
Storm Shadow came from a family of ninjas and wasn't looking for glory or adventure but was continuing his training. Paranoia and hallucinations set in in the jungle and to survive "you get through it on sheer badness, and if you don't slide right off the other end into a permanent thousand-yard stare, yo get real good at appearing normal to everyone else back in the world. But inside you are still a big bad ninja, killing machine, slithering through the endless triple canopy jungle of the rest of the world. You are one crazy tightly wound ultra-wacko psycho killer who desperately needs the strict discipline of a martial arts environment to cool you out and keep the devils in check."
Finally Snake-Eyes discusses himself. He describes coming home from the war to be spat at and called a baby killer, how an attempt to make a start in his best friend's family business was a disaster, and then he took himself away to the mountains "just brooding and thinking too much, mostly about myself, which is a subject that always leads to trouble. It tends to put the center of the universe in the wrong place." Hawk and Stalker found him and brought him into the team. Then on an early mission his face was destroyed by an exploding helicopter and he spent time in a burns unit, unable to block out the screams of patients.
To wrap up he tells Sean "if you are going to be a soldier, don't expect to be appreciated." He talks of an ungrateful nation, of pitiful pensions, the worst that humanity has to offer - "nastiness to the Nth degree, vileness, meanness, total despicable cruelty and unspeakable inhumanity" - and the best it offers - "selfless bravery, compassion, honor, and dignity in the face of sure death." He rhetorically asks "do I have any regrets about having been a soldier? Not a one." He writes of serving with those he could rely on utterly, of those who laid down their lives for him and how he would have done the same - what other jobs see this. "But, then - this 'bearing of arms in the defense of the constitution of the United States of America' is not really a profession, per se... it is a trust."
As he finishes, Scarlett tells him Hawk is retiring the colors. Outside all the Joes watch as the flag is lowered and folded away. They salute it.
After reading Snake-Eyes' letter Sean comments that Wade never told him what soldiering was like, and Wade replies there are some things to put behind him. Wade says that if Sean is still intent on enlisting then he will sign the papers. But Sean wants to give it more thought first. Sean's mother notes that the envelope the latter came in lacks a return address. "What do you suppose that means?"
In Utah, a sign on the gates reads:
[Between two parts of the entry: crystal structures]
=====
1.
A relaxed Li4MnV3P8O28 crystal, computed with PBE with a Hubbard U.

Calculated values
Formation enthalpy at 0 K (eV/atom): -2.6925

Cell lengths 7.058, 9.604, 9.648 Å; angles 119.13, 99.93, 98.82 degrees
Space group P1 (No. 1)
Asymmetric unit:
Li1 0.000 0.000 0.000 (multiplicity 1)
Li2 0.001 0.502 0.503 (multiplicity 1)
Li3 0.345 0.925 0.426 (multiplicity 1)
Li4 0.348 0.428 0.929 (multiplicity 1)
Mn1 0.940 0.663 0.302 (multiplicity 1)
V1 0.400 0.126 0.266 (multiplicity 1)
V2 0.401 0.627 0.767 (multiplicity 1)
V3 0.946 0.163 0.803 (multiplicity 1)
P1 0.151 0.229 0.550 (multiplicity 1)
P2 0.155 0.730 0.051 (multiplicity 1)
P3 0.195 0.880 0.699 (multiplicity 1)
P4 0.196 0.381 0.200 (multiplicity 1)
P5 0.585 0.519 0.447 (multiplicity 1)
P6 0.588 0.021 0.945 (multiplicity 1)
P7 0.761 0.984 0.409 (multiplicity 1)
P8 0.762 0.486 0.910 (multiplicity 1)
O1 0.065 0.482 0.298 (multiplicity 1)
O2 0.069 0.984 0.800 (multiplicity 1)
O3 0.153 0.845 0.521 (multiplicity 1)
O4 0.157 0.344 0.023 (multiplicity 1)
O5 0.167 0.224 0.708 (multiplicity 1)
O6 0.178 0.725 0.208 (multiplicity 1)
O7 0.180 0.222 0.204 (multiplicity 1)
O8 0.180 0.723 0.705 (multiplicity 1)
O9 0.188 0.406 0.586 (multiplicity 1)
O10 0.191 0.906 0.084 (multiplicity 1)
O11 0.277 0.128 0.447 (multiplicity 1)
O12 0.278 0.628 0.943 (multiplicity 1)
O13 0.425 0.992 0.784 (multiplicity 1)
O14 0.426 0.490 0.285 (multiplicity 1)
O15 0.517 0.629 0.596 (multiplicity 1)
O16 0.526 0.131 0.097 (multiplicity 1)
O17 0.560 0.991 0.327 (multiplicity 1)
O18 0.561 0.489 0.824 (multiplicity 1)
O19 0.583 0.350 0.427 (multiplicity 1)
O20 0.589 0.852 0.926 (multiplicity 1)
O21 0.759 0.504 0.077 (multiplicity 1)
O22 0.762 0.002 0.576 (multiplicity 1)
O23 0.787 0.103 0.941 (multiplicity 1)
O24 0.787 0.601 0.448 (multiplicity 1)
O25 0.816 0.829 0.293 (multiplicity 1)
O26 0.823 0.333 0.799 (multiplicity 1)
O27 0.920 0.144 0.438 (multiplicity 1)
O28 0.922 0.646 0.942 (multiplicity 1)

***

2.
A relaxed Na2FeO4 crystal, computed with PBE with a Hubbard U.

Calculated values
Formation enthalpy at 0 K (eV/atom): -1.2718

Cell lengths 7.572, 7.645, 7.158 Å; angles 90.00, 90.00, 90.00 degrees
Space group Pnnm (No. 58)
Asymmetric unit:
Na1 0.000 0.000 0.241 (multiplicity 4)
Na2 0.237 0.267 0.500 (multiplicity 4)
Fe1 0.221 0.352 0.000 (multiplicity 4)
O1 0.068 0.194 0.000 (multiplicity 4)
O2 0.069 0.785 0.500 (multiplicity 4)
O3 0.203 0.477 0.189 (multiplicity 8)

***

3.
A relaxed RbVPO6 crystal, computed with PBE with a Hubbard U.

Calculated values
Formation enthalpy at 0 K (eV/atom): -2.3418

Cell lengths 6.786, 9.882, 18.371 Å; angles 90.00, 90.00, 90.00 degrees
Space group Pbca (No. 61)
Asymmetric unit:
Rb1 0.226 0.191 0.099 (multiplicity 8)
V1 0.023 0.545 0.756 (multiplicity 8)
P1 0.204 0.099 0.898 (multiplicity 8)
O1 0.024 0.119 0.267 (multiplicity 8)
O2 0.031 0.054 0.849 (multiplicity 8)
O3 0.103 0.610 0.853 (multiplicity 8)
O4 0.156 0.231 0.939 (multiplicity 8)
O5 0.223 0.101 0.726 (multiplicity 8)
=====
[The entry goes on]
- "Deactivated. United States Military Base. No Trespassing."
Featured Characters
(Numbers indicate order of appearance.)
G.I. Joe | Civilians | Others |
Memorable quotes
- None yet.
Other Notes
- Quick Kick appears on the cover although he was killed in action[1] and Storm Shadow appears although he had been brainwashed into rejoining Cobra.[2]
- Spirit jumps between opposite sides of the crowd between pages 19 and 20.
Items of note
- This is the final issue of the series published by Marvel Comics.
- Stalker gives Spirit the password "sesquipedalian" - meaning "given to the use of unusually long words."
- The letters page includes an extended piece by Larry Hama commenting on the length of the book's run, the fans, all the creative teams, the amount of reference, the liaison with Hasbro and thanks all the readers.
- Most of the final letters are from overseas, bar the very last one which is a humorous piece from Phil Gosier asking what he will do for money.
- Several Joes appear on the cover, but not in the issue itself.
Real-world references
- Sean's letter is addressed to "Post Box: The Pit," the same as the title of this comic's letters page.
Final words
“ | In parting, permit me to divulge that in my mind, there is a new cabin in the High Sierras were resides a happy couple and their pet wolf. Borovia has a new, rather diminutive president, and there is a bitter bickering going on in that castle in Trans-Carpathia. In a high tower of the castle, a man in a glittering metal mask gazes at the darkling mountains and remembers a happier time and a different reality. | ” |
—Larry Hama says goodbye to the readers. |
Footnotes and References